-- Source --
~~~
Computed, not measured: a relaxed structure of Y3Cr2Ga3O12 at the PBE with a Hubbard U level of DFT.

Cell lengths 10.7822, 10.7822, 10.7822 Å; angles 109.47, 109.47, 109.47 degrees
Element x y z (fractional)
Y: 0.1250 0.2500 0.3750
Y: 0.1250 0.3750 0.7500
Y: 0.2500 0.3750 0.1250
Y: 0.2500 0.8750 0.6250
Y: 0.3750 0.1250 0.2500
Y: 0.3750 0.7500 0.1250
Y: 0.6250 0.2500 0.8750
Y: 0.6250 0.8750 0.7500
Y: 0.7500 0.1250 0.3750
Y: 0.7500 0.6250 0.8750
Y: 0.8750 0.6250 0.2500
Y: 0.8750 0.7500 0.6250
Cr: 0.0000 0.0000 0.0000
Cr: 0.0000 0.0000 0.5000
Cr: 0.0000 0.5000 0.0000
Cr: 0.0000 0.5000 0.5000
Cr: 0.5000 0.0000 0.0000
Cr: 0.5000 0.0000 0.5000
Cr: 0.5000 0.5000 0.0000
Cr: 0.5000 0.5000 0.5000
Ga: 0.1250 0.7500 0.8750
Ga: 0.1250 0.8750 0.2500
Ga: 0.2500 0.1250 0.8750
Ga: 0.2500 0.6250 0.3750
Ga: 0.3750 0.2500 0.6250
Ga: 0.3750 0.6250 0.7500
Ga: 0.6250 0.3750 0.2500
Ga: 0.6250 0.7500 0.3750
Ga: 0.7500 0.3750 0.6250
Ga: 0.7500 0.8750 0.1250
Ga: 0.8750 0.1250 0.7500
Ga: 0.8750 0.2500 0.1250
O: 0.0289 0.2070 0.1241
O: 0.0289 0.3219 0.9048
O: 0.0829 0.7070 0.6781
O: 0.0829 0.8759 0.4048
O: 0.0952 0.6241 0.4171
O: 0.0952 0.9711 0.6781
O: 0.1241 0.0289 0.2070
O: 0.1241 0.5952 0.9171
O: 0.1781 0.2070 0.5829
O: 0.1781 0.4711 0.5952
O: 0.2070 0.1241 0.0289
O: 0.2070 0.5829 0.1781
O: 0.2930 0.3219 0.9171
O: 0.2930 0.4711 0.3759
O: 0.3219 0.9048 0.0289
O: 0.3219 0.9171 0.2930
O: 0.3759 0.2930 0.4711
O: 0.3759 0.5829 0.9048
O: 0.4048 0.0829 0.8759
O: 0.4048 0.8219 0.5289
O: 0.4171 0.0952 0.6241
O: 0.4171 0.8219 0.7930
O: 0.4711 0.3759 0.2930
O: 0.4711 0.5952 0.1781
O: 0.5289 0.4048 0.8219
O: 0.5289 0.6241 0.7070
O: 0.5829 0.1781 0.2070
O: 0.5829 0.9048 0.3759
O: 0.5952 0.1781 0.4711
O: 0.5952 0.9171 0.1241
O: 0.6241 0.4171 0.0952
O: 0.6241 0.7070 0.5289
O: 0.6781 0.0829 0.7070
O: 0.6781 0.0952 0.9711
O: 0.7070 0.5289 0.6241
O: 0.7070 0.6781 0.0829
O: 0.7930 0.4171 0.8219
O: 0.7930 0.8759 0.9711
O: 0.8219 0.5289 0.4048
O: 0.8219 0.7930 0.4171
O: 0.8759 0.4048 0.0829
O: 0.8759 0.9711 0.7930
O: 0.9048 0.0289 0.3219
O: 0.9048 0.3759 0.5829
O: 0.9171 0.1241 0.5952
O: 0.9171 0.2930 0.3219
O: 0.9711 0.6781 0.0952
O: 0.9711 0.7930 0.8759

Computed, not measured: a relaxed structure of GdCrO5 at the PBE with a Hubbard U level of DFT.

Cell lengths 8.3634, 11.5215, 11.3203 Å; angles 90.00, 131.56, 90.00 degrees
Element x y z (fractional)
Gd: 0.2144 0.0525 0.3433
Gd: 0.2144 0.4475 0.8433
Gd: 0.2689 0.5762 0.1854
Gd: 0.2689 0.9238 0.6854
Gd: 0.7311 0.0762 0.3146
Gd: 0.7311 0.4238 0.8146
Gd: 0.7856 0.5525 0.1567
Gd: 0.7856 0.9475 0.6567
Cr: 0.1410 0.1756 0.0001
Cr: 0.1410 0.3244 0.5001
Cr: 0.4030 0.6912 0.5426
Cr: 0.4030 0.8088 0.0426
Cr: 0.5970 0.1912 0.9574
Cr: 0.5970 0.3088 0.4574
Cr: 0.8590 0.6756 0.4999
Cr: 0.8590 0.8244 0.9999
O: 0.0266 0.5361 0.9136
O: 0.0266 0.9639 0.4136
O: 0.0411 0.5883 0.6499
O: 0.0411 0.9117 0.1499
O: 0.0962 0.1865 0.4333
O: 0.0962 0.3135 0.9333
O: 0.1324 0.1684 0.1413
O: 0.1324 0.3316 0.6413
O: 0.2231 0.6229 0.3700
O: 0.2231 0.8771 0.8700
O: 0.2887 0.7388 0.6086
O: 0.2887 0.7612 0.1086
O: 0.3826 0.1339 0.0784
O: 0.3826 0.3661 0.5784
O: 0.4039 0.1007 0.8245
O: 0.4039 0.3993 0.3245
O: 0.4684 0.5179 0.1107
O: 0.4684 0.9821 0.6107
O: 0.4967 0.6883 0.0187
O: 0.4967 0.8117 0.5187
O: 0.5033 0.1883 0.4813
O: 0.5033 0.3117 0.9813
O: 0.5316 0.0179 0.3893
O: 0.5316 0.4821 0.8893
O: 0.5961 0.6007 0.6755
O: 0.5961 0.8993 0.1755
O: 0.6174 0.6339 0.4216
O: 0.6174 0.8661 0.9216
O: 0.7113 0.2388 0.8914
O: 0.7113 0.2612 0.3914
O: 0.7769 0.1229 0.1300
O: 0.7769 0.3771 0.6300
O: 0.8676 0.6684 0.3587
O: 0.8676 0.8316 0.8587
O: 0.9038 0.6865 0.0667
O: 0.9038 0.8135 0.5667
O: 0.9589 0.0883 0.8501
O: 0.9589 0.4117 0.3501
O: 0.9734 0.0361 0.5864
O: 0.9734 0.4639 0.0864

Q: Which calculated total energy values were calculated for the entries above? A: -7.745 -8.443, in eV per atom.

=====

ErCuTe2 | PBE | optimized geometry

Geometry as POSCAR:
```
ErCuTe2
1.0
-2.177 -3.771 0.000
-4.355 0.000 0.000
0.000 0.000 -6.860
Er Cu Te
1 1 2
direct
~~~

-- What to do --
Start at the top of the lines further up and type out each line, ending with the one that has "0.8893", please.

-- Done --
Computed, not measured: a relaxed structure of Y3Cr2Ga3O12 at the PBE with a Hubbard U level of DFT.

Cell lengths 10.7822, 10.7822, 10.7822 Å; angles 109.47, 109.47, 109.47 degrees
Element x y z (fractional)
Y: 0.1250 0.2500 0.3750
Y: 0.1250 0.3750 0.7500
Y: 0.2500 0.3750 0.1250
Y: 0.2500 0.8750 0.6250
Y: 0.3750 0.1250 0.2500
Y: 0.3750 0.7500 0.1250
Y: 0.6250 0.2500 0.8750
Y: 0.6250 0.8750 0.7500
Y: 0.7500 0.1250 0.3750
Y: 0.7500 0.6250 0.8750
Y: 0.8750 0.6250 0.2500
Y: 0.8750 0.7500 0.6250
Cr: 0.0000 0.0000 0.0000
Cr: 0.0000 0.0000 0.5000
Cr: 0.0000 0.5000 0.0000
Cr: 0.0000 0.5000 0.5000
Cr: 0.5000 0.0000 0.0000
Cr: 0.5000 0.0000 0.5000
Cr: 0.5000 0.5000 0.0000
Cr: 0.5000 0.5000 0.5000
Ga: 0.1250 0.7500 0.8750
Ga: 0.1250 0.8750 0.2500
Ga: 0.2500 0.1250 0.8750
Ga: 0.2500 0.6250 0.3750
Ga: 0.3750 0.2500 0.6250
Ga: 0.3750 0.6250 0.7500
Ga: 0.6250 0.3750 0.2500
Ga: 0.6250 0.7500 0.3750
Ga: 0.7500 0.3750 0.6250
Ga: 0.7500 0.8750 0.1250
Ga: 0.8750 0.1250 0.7500
Ga: 0.8750 0.2500 0.1250
O: 0.0289 0.2070 0.1241
O: 0.0289 0.3219 0.9048
O: 0.0829 0.7070 0.6781
O: 0.0829 0.8759 0.4048
O: 0.0952 0.6241 0.4171
O: 0.0952 0.9711 0.6781
O: 0.1241 0.0289 0.2070
O: 0.1241 0.5952 0.9171
O: 0.1781 0.2070 0.5829
O: 0.1781 0.4711 0.5952
O: 0.2070 0.1241 0.0289
O: 0.2070 0.5829 0.1781
O: 0.2930 0.3219 0.9171
O: 0.2930 0.4711 0.3759
O: 0.3219 0.9048 0.0289
O: 0.3219 0.9171 0.2930
O: 0.3759 0.2930 0.4711
O: 0.3759 0.5829 0.9048
O: 0.4048 0.0829 0.8759
O: 0.4048 0.8219 0.5289
O: 0.4171 0.0952 0.6241
O: 0.4171 0.8219 0.7930
O: 0.4711 0.3759 0.2930
O: 0.4711 0.5952 0.1781
O: 0.5289 0.4048 0.8219
O: 0.5289 0.6241 0.7070
O: 0.5829 0.1781 0.2070
O: 0.5829 0.9048 0.3759
O: 0.5952 0.1781 0.4711
O: 0.5952 0.9171 0.1241
O: 0.6241 0.4171 0.0952
O: 0.6241 0.7070 0.5289
O: 0.6781 0.0829 0.7070
O: 0.6781 0.0952 0.9711
O: 0.7070 0.5289 0.6241
O: 0.7070 0.6781 0.0829
O: 0.7930 0.4171 0.8219
O: 0.7930 0.8759 0.9711
O: 0.8219 0.5289 0.4048
O: 0.8219 0.7930 0.4171
O: 0.8759 0.4048 0.0829
O: 0.8759 0.9711 0.7930
O: 0.9048 0.0289 0.3219
O: 0.9048 0.3759 0.5829
O: 0.9171 0.1241 0.5952
O: 0.9171 0.2930 0.3219
O: 0.9711 0.6781 0.0952
O: 0.9711 0.7930 0.8759

Computed, not measured: a relaxed structure of GdCrO5 at the PBE with a Hubbard U level of DFT.

Cell lengths 8.3634, 11.5215, 11.3203 Å; angles 90.00, 131.56, 90.00 degrees
Element x y z (fractional)
Gd: 0.2144 0.0525 0.3433
Gd: 0.2144 0.4475 0.8433
Gd: 0.2689 0.5762 0.1854
Gd: 0.2689 0.9238 0.6854
Gd: 0.7311 0.0762 0.3146
Gd: 0.7311 0.4238 0.8146
Gd: 0.7856 0.5525 0.1567
Gd: 0.7856 0.9475 0.6567
Cr: 0.1410 0.1756 0.0001
Cr: 0.1410 0.3244 0.5001
Cr: 0.4030 0.6912 0.5426
Cr: 0.4030 0.8088 0.0426
Cr: 0.5970 0.1912 0.9574
Cr: 0.5970 0.3088 0.4574
Cr: 0.8590 0.6756 0.4999
Cr: 0.8590 0.8244 0.9999
O: 0.0266 0.5361 0.9136
O: 0.0266 0.9639 0.4136
O: 0.0411 0.5883 0.6499
O: 0.0411 0.9117 0.1499
O: 0.0962 0.1865 0.4333
O: 0.0962 0.3135 0.9333
O: 0.1324 0.1684 0.1413
O: 0.1324 0.3316 0.6413
O: 0.2231 0.6229 0.3700
O: 0.2231 0.8771 0.8700
O: 0.2887 0.7388 0.6086
O: 0.2887 0.7612 0.1086
O: 0.3826 0.1339 0.0784
O: 0.3826 0.3661 0.5784
O: 0.4039 0.1007 0.8245
O: 0.4039 0.3993 0.3245
O: 0.4684 0.5179 0.1107
O: 0.4684 0.9821 0.6107
O: 0.4967 0.6883 0.0187
O: 0.4967 0.8117 0.5187
O: 0.5033 0.1883 0.4813
O: 0.5033 0.3117 0.9813
O: 0.5316 0.0179 0.3893
O: 0.5316 0.4821 0.8893